**Wanted**
Could you set down the data below from the first line to the one with "1.4657 0.001" exactly?
**Listing**
/*
Record 1
2 unconnected molecules or ions with the total composition C4H14N at a distorted geometry. Source: the Open Molecules 2025 dataset; level of theory: ωB97M-V with the def2-TZVPD basis set.

Geometry as XYZ:
```
19
Properties=species:S:1:pos:R:3:mulliken_charge:R:1
C 2.7391 -0.6517 2.0814 -0.711
N 1.7229 0.2942 1.4680 -0.316
H 2.6671 -1.5869 1.4998 0.304
H 2.5710 -0.6810 3.1624 0.331
H 3.7570 -0.2676 1.9942 0.324
H 1.0629 0.7142 2.1259 0.397
H 2.2631 1.0676 1.0644 0.404
H 1.1650 -0.0435 0.6778 0.234
C -1.9381 1.2602 -1.6261 -1.167
C -1.0807 -0.0149 -1.6630 0.056
C -1.7108 -1.0173 -0.7333 -1.026
H -1.7792 1.7046 -0.6357 0.270
H -1.7468 1.9775 -2.4506 0.315
H -2.9987 1.0588 -1.6924 0.356
H -1.0136 -0.4106 -2.6823 0.308
H -0.0537 0.2736 -1.3646 0.035
H -2.8060 -0.9423 -0.7429 0.366
H -1.4826 -0.6866 0.3130 0.214
H -1.3377 -2.0484 -0.7960 0.304
```

Values from the calculation:
Spin multiplicity = 1
Kohn-Sham gap = 10.522 eV
ΔE to the lowest compared entry with this formula, charge and spin = 0.9727 eV
HOMO energy = -14.584 eV
Charge = +1
Calculated total energy = -215.27315 hartree
M = 76.2 Da


Record 2
A molecular structure, C17H16FeN2O5. Source: the Open Molecules 2025 dataset; level of theory: ωB97M-V with the def2-TZVPD basis set.

Geometry as XYZ:
```
41
Properties=species:S:1:pos:R:3:lowdin_spin:R:1
Fe -0.0064 -0.2361 -0.0930 3.676
O -2.4960 2.7218 0.0146 0.013
C -2.1413 1.5810 0.1978 0.013
O -1.4255 0.8799 -0.6471 0.099
C -2.5770 0.8311 1.4657 0.001
C -2.8460 -0.6512 1.1714 0.001
C -3.6593 -1.2920 2.2944 0.001
C -2.5993 -1.4097 3.4153 0.001
C -1.3715 -0.8061 2.7365 0.001
O -1.5351 -1.2434 1.3632 0.034
C -1.5105 0.7194 2.6176 0.000
C -0.1359 1.3723 2.3861 0.006
O 0.1679 2.3664 3.0106 0.011
O 0.6430 0.7495 1.5507 0.055
H -3.4693 1.3370 1.8290 0.000
H -3.1887 -0.8514 0.1599 0.000
H -4.0289 -2.2713 1.9929 0.000
H -4.5144 -0.6771 2.5714 0.000
H -2.4195 -2.4500 3.6846 0.000
H -2.8649 -0.8645 4.3196 0.000
H -0.4079 -1.1439 3.1089 0.000
H -1.8990 1.1578 3.5343 0.000
N 2.2453 0.1106 -0.4086 0.032
C 2.9467 -1.1289 -0.3652 0.001
C 4.2980 -1.2445 -0.5332 0.003
C 4.9383 -2.4995 -0.4649 -0.001
C 4.2209 -3.6371 -0.2451 0.002
C 2.8121 -3.5692 -0.1332 0.000
C 1.9948 -4.7165 -0.0270 0.005
C 0.6372 -4.5869 -0.0475 0.000
C 0.0808 -3.3005 -0.1573 0.010
N 0.8076 -2.2082 -0.2099 0.026
C 2.1714 -2.3151 -0.1956 0.004
H 2.7183 0.7941 -0.9873 0.002
H 2.1474 0.5292 0.5292 0.000
H 4.8895 -0.3515 -0.6932 0.000
H 6.0126 -2.5471 -0.5805 0.000
H 4.7074 -4.6021 -0.1863 0.000
H 2.4605 -5.6920 0.0407 0.000
H -0.0157 -5.4457 0.0086 0.000
H -0.9920 -3.1671 -0.1879 0.001
```

Values from the calculation:
Spin multiplicity = 5
Kohn-Sham gap (spin up / spin down) = 7.793 / 7.524 eV
HOMO energy (spin up / spin down) = -8.690 / -8.494 eV
Calculated total energy = -2406.93797 hartree
M = 384.2 Da
*/
**Written answer**
Record 1
2 unconnected molecules or ions with the total composition C4H14N at a distorted geometry. Source: the Open Molecules 2025 dataset; level of theory: ωB97M-V with the def2-TZVPD basis set.

Geometry as XYZ:
```
19
Properties=species:S:1:pos:R:3:mulliken_charge:R:1
C 2.7391 -0.6517 2.0814 -0.711
N 1.7229 0.2942 1.4680 -0.316
H 2.6671 -1.5869 1.4998 0.304
H 2.5710 -0.6810 3.1624 0.331
H 3.7570 -0.2676 1.9942 0.324
H 1.0629 0.7142 2.1259 0.397
H 2.2631 1.0676 1.0644 0.404
H 1.1650 -0.0435 0.6778 0.234
C -1.9381 1.2602 -1.6261 -1.167
C -1.0807 -0.0149 -1.6630 0.056
C -1.7108 -1.0173 -0.7333 -1.026
H -1.7792 1.7046 -0.6357 0.270
H -1.7468 1.9775 -2.4506 0.315
H -2.9987 1.0588 -1.6924 0.356
H -1.0136 -0.4106 -2.6823 0.308
H -0.0537 0.2736 -1.3646 0.035
H -2.8060 -0.9423 -0.7429 0.366
H -1.4826 -0.6866 0.3130 0.214
H -1.3377 -2.0484 -0.7960 0.304
```

Values from the calculation:
Spin multiplicity = 1
Kohn-Sham gap = 10.522 eV
ΔE to the lowest compared entry with this formula, charge and spin = 0.9727 eV
HOMO energy = -14.584 eV
Charge = +1
Calculated total energy = -215.27315 hartree
M = 76.2 Da


Record 2
A molecular structure, C17H16FeN2O5. Source: the Open Molecules 2025 dataset; level of theory: ωB97M-V with the def2-TZVPD basis set.

Geometry as XYZ:
```
41
Properties=species:S:1:pos:R:3:lowdin_spin:R:1
Fe -0.0064 -0.2361 -0.0930 3.676
O -2.4960 2.7218 0.0146 0.013
C -2.1413 1.5810 0.1978 0.013
O -1.4255 0.8799 -0.6471 0.099
C -2.5770 0.8311 1.4657 0.001